Assignment:
Please give back the whole of the entries further below character by character.
Input:
********
1.
Compound: PaIr2O8
Source: the Alexandria database
Functional: PBE
Structure: relaxed

Cell: 6.8017 5.9039 5.9039 Å, 120.00 90.00 90.00°
Positions (direct):
O 0.8218 0.3479 0.1739
O 0.8218 0.8261 0.1740
O 0.1782 0.6521 0.8260
O 0.1782 0.1739 0.8260
Ir 0.6861 0.6667 0.3333
O 0.4311 0.6667 0.3333
Ir 0.3139 0.3333 0.6667
O 0.5689 0.3333 0.6667
Pa 0.0000 0.0000 0.0000
O 0.8218 0.8260 0.6521
O 0.1782 0.1740 0.3479

Calculated values
Mass density, g/cm³: 6.01
Total energy, eV per atom: -7.32
Raw formation energy, eV/atom: -1.235

=====

2.
Compound: PaIrO5
Source: the Alexandria database
Functional: PBE
Structure: relaxed

Cell: 5.6405 5.6405 7.2638 Å, 106.41 106.41 97.89°
Positions (direct):
Pa 0.0720 0.4280 0.7500
Pa 0.9280 0.5720 0.2500
O 0.8176 0.2816 0.9491
Ir 0.5000 0.5000 0.5000
Ir 0.0000 0.0000 0.0000
O 0.1925 0.3075 0.2500
O 0.8075 0.6925 0.7500
O 0.1929 0.1232 0.8582
O 0.3768 0.3071 0.6418
O 0.8071 0.8768 0.1418
O 0.2184 0.6824 0.5509
O 0.1824 0.7184 0.0509
O 0.7816 0.3176 0.4491
O 0.6232 0.6929 0.3582

Calculated values
Mass density, g/cm³: 8.09
Total energy, eV per atom: -8.00
Raw formation energy, eV/atom: -1.836

=====

3.
Compound: PaIrO6
Source: the Alexandria database
Functional: PBE
Structure: relaxed

Cell: 5.7085 5.7085 7.5335 Å, 94.21 94.21 64.21°
Positions (direct):
O 0.5666 0.1745 0.1936
O 0.8191 0.8979 0.4970
Ir 0.0000 0.5000 0.5000
Pa 0.9599 0.0401 0.7500
O 0.1021 0.1809 0.0030
O 0.8255 0.4334 0.3064
O 0.5690 0.2094 0.8361
O 0.4310 0.7906 0.1639
Ir 0.5000 0.0000 0.0000
Pa 0.0401 0.9599 0.2500
O 0.2094 0.5690 0.3361
O 0.1745 0.5666 0.6936
O 0.1809 0.1021 0.5030
O 0.7906 0.4310 0.6639
O 0.8979 0.8191 0.9970
O 0.4334 0.8255 0.8064

Calculated values
Mass density, g/cm³: 7.83
Total energy, eV per atom: -7.58
Raw formation energy, eV/atom: -1.566

=====

4.
Compound: Pa2IrO
Source: the Alexandria database
Functional: PBE
Structure: relaxed

Cell: 3.6386 3.6386 6.9213 Å, 74.76 74.76 60.00°
Positions (direct):
Pa 0.7382 0.7382 0.7854
Ir 0.5000 0.5000 0.5000
Pa 0.2618 0.2618 0.2146
O 0.0000 0.0000 0.0000

Calculated values
Mass density, g/cm³: 14.72
Total energy, eV per atom: -9.66
Distance to the lowest polymorph of the same formula, meV/atom: 0
Raw formation energy, eV/atom: -1.462

=====

5.
Compound: Pa2IrO
Source: the Alexandria database
Functional: PBE
Structure: relaxed

Cell: 3.0950 3.0950 7.2132 Å, 90.00 90.00 90.00°
Positions (direct):
Ir 0.5000 0.5000 0.0000
Pa 0.0000 0.0000 0.7234
Pa 0.0000 0.0000 0.2766
O 0.5000 0.5000 0.5000

Calculated values
Mass density, g/cm³: 16.11
Total energy, eV per atom: -9.39
Distance to the lowest polymorph of the same formula, meV/atom: 278
Raw formation energy, eV/atom: -1.184

=====

6.
Compound: PaIrPd2O8
Source: the Alexandria database
Functional: PBE
Structure: relaxed

Cell: 5.9139 5.9139 5.9139 Å, 111.78 111.78 104.94°
Positions (direct):
Pd 0.5000 0.5000 0.0000
O 0.5448 0.7169 0.8278
O 0.9742 0.6748 0.7006
Pa 0.2500 0.7500 0.5000
Ir 0.0000 0.0000 0.0000
O 0.2831 0.4552 0.1722
Pd 0.7500 0.2500 0.5000
O 0.3252 0.0258 0.2994
O 0.8891 0.7169 0.1722
O 0.7263 0.0258 0.7006
O 0.9742 0.2737 0.2994
O 0.2831 0.1109 0.8278

Calculated values
Mass density, g/cm³: 8.01
Total energy, eV per atom: -6.64
Raw formation energy, eV/atom: -0.940

=====

7.
Compound: PaIrPdO6
Source: the Alexandria database
Functional: PBE
Structure: relaxed

Cell: 5.3511 5.3511 9.1304 Å, 90.00 90.00 120.00°
Positions (direct):
O 0.3483 0.3271 0.3725
O 0.3483 0.0212 0.1275
Pa 0.6667 0.3333 0.7500
O 0.3271 0.3483 0.8725
O 0.9788 0.3271 0.1275
Ir 0.6667 0.3333 0.2500
Pd 0.0000 0.0000 0.0000
O 0.9788 0.6517 0.3725
O 0.6729 0.6517 0.1275
O 0.0212 0.6729 0.8725
O 0.3271 0.9788 0.6275
Ir 0.3333 0.6667 0.7500
O 0.6517 0.9788 0.8725
O 0.6729 0.0212 0.3725
O 0.6517 0.6729 0.6275
Pd 0.0000 0.0000 0.5000
O 0.0212 0.3483 0.6275
Pa 0.3333 0.6667 0.2500

Calculated values
Mass density, g/cm³: 9.18
Total energy, eV per atom: -7.55
Raw formation energy, eV/atom: -1.629

=====

8.
Compound: Pm2PaIrO8
********
Outcome:
1.
Compound: PaIr2O8
Source: the Alexandria database
Functional: PBE
Structure: relaxed

Cell: 6.8017 5.9039 5.9039 Å, 120.00 90.00 90.00°
Positions (direct):
O 0.8218 0.3479 0.1739
O 0.8218 0.8261 0.1740
O 0.1782 0.6521 0.8260
O 0.1782 0.1739 0.8260
Ir 0.6861 0.6667 0.3333
O 0.4311 0.6667 0.3333
Ir 0.3139 0.3333 0.6667
O 0.5689 0.3333 0.6667
Pa 0.0000 0.0000 0.0000
O 0.8218 0.8260 0.6521
O 0.1782 0.1740 0.3479

Calculated values
Mass density, g/cm³: 6.01
Total energy, eV per atom: -7.32
Raw formation energy, eV/atom: -1.235

=====

2.
Compound: PaIrO5
Source: the Alexandria database
Functional: PBE
Structure: relaxed

Cell: 5.6405 5.6405 7.2638 Å, 106.41 106.41 97.89°
Positions (direct):
Pa 0.0720 0.4280 0.7500
Pa 0.9280 0.5720 0.2500
O 0.8176 0.2816 0.9491
Ir 0.5000 0.5000 0.5000
Ir 0.0000 0.0000 0.0000
O 0.1925 0.3075 0.2500
O 0.8075 0.6925 0.7500
O 0.1929 0.1232 0.8582
O 0.3768 0.3071 0.6418
O 0.8071 0.8768 0.1418
O 0.2184 0.6824 0.5509
O 0.1824 0.7184 0.0509
O 0.7816 0.3176 0.4491
O 0.6232 0.6929 0.3582

Calculated values
Mass density, g/cm³: 8.09
Total energy, eV per atom: -8.00
Raw formation energy, eV/atom: -1.836

=====

3.
Compound: PaIrO6
Source: the Alexandria database
Functional: PBE
Structure: relaxed

Cell: 5.7085 5.7085 7.5335 Å, 94.21 94.21 64.21°
Positions (direct):
O 0.5666 0.1745 0.1936
O 0.8191 0.8979 0.4970
Ir 0.0000 0.5000 0.5000
Pa 0.9599 0.0401 0.7500
O 0.1021 0.1809 0.0030
O 0.8255 0.4334 0.3064
O 0.5690 0.2094 0.8361
O 0.4310 0.7906 0.1639
Ir 0.5000 0.0000 0.0000
Pa 0.0401 0.9599 0.2500
O 0.2094 0.5690 0.3361
O 0.1745 0.5666 0.6936
O 0.1809 0.1021 0.5030
O 0.7906 0.4310 0.6639
O 0.8979 0.8191 0.9970
O 0.4334 0.8255 0.8064

Calculated values
Mass density, g/cm³: 7.83
Total energy, eV per atom: -7.58
Raw formation energy, eV/atom: -1.566

=====

4.
Compound: Pa2IrO
Source: the Alexandria database
Functional: PBE
Structure: relaxed

Cell: 3.6386 3.6386 6.9213 Å, 74.76 74.76 60.00°
Positions (direct):
Pa 0.7382 0.7382 0.7854
Ir 0.5000 0.5000 0.5000
Pa 0.2618 0.2618 0.2146
O 0.0000 0.0000 0.0000

Calculated values
Mass density, g/cm³: 14.72
Total energy, eV per atom: -9.66
Distance to the lowest polymorph of the same formula, meV/atom: 0
Raw formation energy, eV/atom: -1.462

=====

5.
Compound: Pa2IrO
Source: the Alexandria database
Functional: PBE
Structure: relaxed

Cell: 3.0950 3.0950 7.2132 Å, 90.00 90.00 90.00°
Positions (direct):
Ir 0.5000 0.5000 0.0000
Pa 0.0000 0.0000 0.7234
Pa 0.0000 0.0000 0.2766
O 0.5000 0.5000 0.5000

Calculated values
Mass density, g/cm³: 16.11
Total energy, eV per atom: -9.39
Distance to the lowest polymorph of the same formula, meV/atom: 278
Raw formation energy, eV/atom: -1.184

=====

6.
Compound: PaIrPd2O8
Source: the Alexandria database
Functional: PBE
Structure: relaxed

Cell: 5.9139 5.9139 5.9139 Å, 111.78 111.78 104.94°
Positions (direct):
Pd 0.5000 0.5000 0.0000
O 0.5448 0.7169 0.8278
O 0.9742 0.6748 0.7006
Pa 0.2500 0.7500 0.5000
Ir 0.0000 0.0000 0.0000
O 0.2831 0.4552 0.1722
Pd 0.7500 0.2500 0.5000
O 0.3252 0.0258 0.2994
O 0.8891 0.7169 0.1722
O 0.7263 0.0258 0.7006
O 0.9742 0.2737 0.2994
O 0.2831 0.1109 0.8278

Calculated values
Mass density, g/cm³: 8.01
Total energy, eV per atom: -6.64
Raw formation energy, eV/atom: -0.940

=====

7.
Compound: PaIrPdO6
Source: the Alexandria database
Functional: PBE
Structure: relaxed

Cell: 5.3511 5.3511 9.1304 Å, 90.00 90.00 120.00°
Positions (direct):
O 0.3483 0.3271 0.3725
O 0.3483 0.0212 0.1275
Pa 0.6667 0.3333 0.7500
O 0.3271 0.3483 0.8725
O 0.9788 0.3271 0.1275
Ir 0.6667 0.3333 0.2500
Pd 0.0000 0.0000 0.0000
O 0.9788 0.6517 0.3725
O 0.6729 0.6517 0.1275
O 0.0212 0.6729 0.8725
O 0.3271 0.9788 0.6275
Ir 0.3333 0.6667 0.7500
O 0.6517 0.9788 0.8725
O 0.6729 0.0212 0.3725
O 0.6517 0.6729 0.6275
Pd 0.0000 0.0000 0.5000
O 0.0212 0.3483 0.6275
Pa 0.3333 0.6667 0.2500

Calculated values
Mass density, g/cm³: 9.18
Total energy, eV per atom: -7.55
Raw formation energy, eV/atom: -1.629

=====

8.
Compound: Pm2PaIrO8